Eclipse file associations for extensions with multiple periods - eclipse

I have several Mako templates in my project that are named things like header.html.tmpl and I would like to add file associations to Eclipse to open these with the appropriate editors. For example, I would like header.html.tmpl to be opened in the HTML editor, to be opened in the Python editor, etc. I go to Preferences->File Associations and I try adding *.py.tmpl to the list but after I click "Ok" nothing happens and the desired extension does not appear in the list. If I try instead using .py.tmpl I can add it to the list and add the Python editor to its associated editors but when I double-click a .py.tmpl file it doesn't use the correct editor.
Obviously it would probably work to just use -tmpl instead of .tmpl, but I'm wondering if anyone knows a way around this or can confirm that it's a bug/missing feature.

Its a bug:

Records of crystals from another source follow >
# 1
For Na2NiPCO7, DFT lattice parameters and positions (PBE+U) gives the theoretical X-ray powder pattern in this record (a wavelength of 1.5418 Å).

Structure:
```
data_Na2NiPCO7
_cell_length_a 9.012
_cell_length_b 6.517
_cell_length_c 10.366
_cell_angle_alpha 90.00
_cell_angle_beta 91.45
_cell_angle_gamma 90.00
_symmetry_space_group_name_H-M 'P 1 c 1'
_symmetry_Int_Tables_number 7
loop_
_symmetry_equiv_pos_as_xyz
'x,y,z'
'x,-y,z+1/2'
loop_
_atom_site_label
_atom_site_type_symbol
_atom_site_fract_x
_atom_site_fract_y
_atom_site_fract_z
Na1 Na 0.000 0.004 0.000
Na2 Na 0.177 0.230 0.267
Na3 Na 0.648 0.266 0.519
Na4 Na 0.649 0.269 0.021
Ni1 Ni 0.252 0.498 0.505
Ni2 Ni 0.562 0.003 0.784
P1 P 0.333 0.002 0.039
P2 P 0.484 0.499 0.754
C1 C 0.837 0.006 0.251
C2 C 0.981 0.496 0.537
O1 O 0.040 0.488 0.424
O2 O 0.080 0.496 0.131
O3 O 0.232 0.191 0.014
O4 O 0.235 0.185 0.498
O5 O 0.337 0.496 0.327
O6 O 0.371 0.001 0.687
O7 O 0.451 0.497 0.604
O8 O 0.480 0.006 0.966
O9 O 0.582 0.311 0.289
O10 O 0.582 0.312 0.791
O11 O 0.743 0.000 0.152
O12 O 0.776 0.001 0.364
O13 O 0.843 0.498 0.555
O14 O 0.976 0.017 0.238
```

Principal peaks in the range 2θ from 10° to 80°, in order of rising 2θ:
two_theta	I_rel
16.79	692
19.55	435
19.98	499
25.88	464
27.37	1000
33.86	415
33.96	348
34.13	608
34.62	576
37.62	356

---

# 2
For Ni2O3, DFT lattice parameters and positions (PBE+U) gives the theoretical X-ray powder pattern in this record (a wavelength of 1.5418 Å).

Structure:
```
data_Ni2O3
_cell_length_a 9.467
_cell_length_b 5.572
_cell_length_c 5.989
_cell_angle_alpha 90.00
_cell_angle_beta 123.09
_cell_angle_gamma 90.00
_symmetry_space_group_name_H-M 'C 1 c 1'
_symmetry_Int_Tables_number 9
loop_
_symmetry_equiv_pos_as_xyz
'x,y,z'
'x,-y,z+1/2'
'x+1/2,y+1/2,z'
'x+1/2,-y+1/2,z+1/2'
loop_
_atom_site_label
_atom_site_type_symbol
_atom_site_fract_x
_atom_site_fract_y
_atom_site_fract_z
Ni1 Ni 0.000 0.084 0.000
Ni2 Ni 0.343 0.093 0.009
O1 O 0.128 0.046 0.375
O2 O 0.315 0.403 0.907
O3 O 0.445 0.098 0.381
```

Principal peaks in the range 2θ from 10° to 80°, in order of rising 2θ:
two_theta	I_rel
19.47	1000
21.84	347
22.42	646
32.13	293
32.62	689
35.79	643
36.90	474
37.01	388
37.66	405
57.59	399

---

# 3
For KBaCeWO6, DFT lattice parameters and positions (PBE+U) gives the theoretical X-ray powder pattern in this record (a wavelength of 1.5418 Å).

Structure:
```
data_KBaCeWO6
_cell_length_a 8.589
_cell_length_b 8.589
_cell_length_c 8.589
_cell_angle_alpha 90.00
_cell_angle_beta 90.00
_cell_angle_gamma 90.00
_symmetry_space_group_name_H-M 'F -4 3 m'
_symmetry_Int_Tables_number 216
_symmetry_space_group_name_Hall 'F -4 2 3'
loop_
_atom_site_label
_atom_site_type_symbol
_atom_site_fract_x
_atom_site_fract_y
_atom_site_fract_z
K1 K 0.000 0.000 0.000
Ba1 Ba 0.000 0.000 0.500
Ce1 Ce 0.250 0.250 0.250
W1 W 0.250 0.250 0.750
O1 O 0.020 0.250 0.750
```

Principal peaks in the range 2θ from 10° to 80°, in order of rising 2θ:
two_theta	I_rel
17.89	113
20.68	188
29.41	1000
34.64	59
42.08	302


Eclipse treating file as plain text

I've got a small homework project, and for whatever reason Eclipse has decided to stop highlighting syntax or allowing intellisense or goto definitions or anything in this file. I've tried rebooting it, and the computer, but had no luck.
The thing that really has me confused is that it's still compiling and running the code correctly (eg, changes I make in are compiled and run - it's not running old Main.class files), so it's still in the build path ... right?
Any ideas?
Right click on the file in the Package Explorer and choose the Open With menu. You will probably find that Text Editor is selected, choose Java Editor to open the file with the correct editor.
The Open With menu selection is remembered so you should get the Java Editor in future, but equally if you choose the plain text editor that is also remembered.
I suggest finding a way to reset any setting you might have set by accident. Not saying that you did it. But just to make sure, just try it out. If you customized the preferences already, you could make some kind of note of the settings, then change it. If that doesn't work, let me know. Good Luck!
Copy the text somewhere, delete the file, and then add a new class (of the same name) and paste the text back.

In an eclipse plugin: How can I programmatically highlight lines of codes in the java editor?

I am trying to develop an eclipse plugin that does some documentation check on java code and highlights some lines of code in the editor.
To achieve my goal, I DON'T want to create a new editor in eclipse, I simply want to extend the default java editor to draw a line under (or highlight) the methods that do not satisfy some set of predetermined requirements.
Do I need to create a PresentationReconciler? If yes, how do I make the JDT or workbench use my reconciler.
I have never done plugin development and this is my first attempt.
Several starting points for you:
Annotations are an UI feature of JFace's text editor that allows you to visually mark some places in an open editor.
Markers are a Workbench feature, more high-level. They are generic "objects that may be associated with Workbench resources", and they can display in several places: in text editors (as annotations) or in the Problems view, for example.
Depending on what you want to do, you would plug in your plug-in into extension points related to either of those.
The Eclipse Java editor is located in the org.eclipse.jdt.internal.ui.javaeditor.JavaEditor package.
The "internal" in the package name means that the Eclipse development team can change how the Java editor works with new revisions.
Try this help page: Juno Help on syntax highlighting
At the end of the page, it describes how to dynamically add a PresentationReconciler, which is used for syntax highlighting. See if that fits the problem that you want to solve.
I assume you already have a plugin project.
In your plugin.xml, open the tab Extensions, click Add..., search for org.eclipse.ui.editors, then you should see a template named Editor, which will produce a simple xml editor to experiment and play with. Also, you will be able to see the needed structure to define a custom editor.
Hope this helps...
I don't know if you still have a need for this, but you are going to want to use Annotations to keep track of what parts of the editor you need to highlight.
For actually doing the graphical effect of highlighting, you could do syntax highlighting via a PresentationReconciler, but I have no experience with that.
We used a technique we borrowed from, replacing the background image of the editor Shell. Its open source, so check it out. (Our code might also help -- its at )

.scss.erb extension syntax highlighting for scss in aptana/eclipse

If I have some eRuby in a scss file, I need to make the extension *.scss.erb. However, doing so causes the sytax highlighting for *.erb rather than *.scss. Is there any way to get eclipse to determine the syntax highlighting more intelligently or at least allow manual syntax assignment like in notepad++?
The only workaround I've found so far is to rename the file *.scss, open it, then rename it back to *.erb so it gets processed correctly later on.
There should be.
What you would do is go to Preferences > General > Editors > File Associations and set the default editor for your *.scss.erb extensions, however there's a bug in Eclipse that prevents file associations with more than one period:
The way I get around the issue is by right clicking the source file in Project Explorer and going to Open With > Other... and selecting Sass Source Editor from there.

How can I copy and edit a file in Eclipse?

This seems so simple but I can't find a good way to do it:
Often I want to take an existing (Java) file and base a new one on it - basically just copy the file, rename the copy, and edit it. I can't find any good way to do this. The best I can do is to right-click on the file in the Package Explorer, select copy, and then paste it. If I do it in the same directory I'm prompted to change its name, which is cool.
The problems with this are: 1) It doesn't seem very "Eclipse-y", and 2) Usually I don't have the Package Explorer expanded to where the source file is, so it's very tedious to go through all the projects/packages and find it.
There must be a better way to do this, no? I expected something in the refactor menu but all there is is "move".
Alternative is there a simple way to show where a file I'm currently editing is in the Package Explorer? That wouldn't be ideal but would be good enough for me.
On the top right portion of the package explorer, there is a "link with editor" button that will automatically highlight which file you have open in the editor.
Select 'Show In - Package Explorer' in the context menu of your editor.

How to programmatically reload a text editor in Eclipse?

In Eclipse, if I change a file programmatically, and it is open in a text editor, it doesn't always reload, not even when refreshing the resource programmatically. How can I forcibly reload the text editor from code so that it show the changed file contents?
In your project explorer or navigator, you can right-click on the file that's currently open and select refresh. This has always worked for me, even when editing files with several programs. Make sure to click the file itself, not parent objects like packages or folders or projects.
Refreshing programmatically? I would look into an Eclipse scripting tool:
I guess there was another one called Monkey, but it doesn't appear to be maintained.
I don't know of any possibility to programmatically reload the file.
Some editors (e.g. GMF editors) look for changes in the underlying files, and refresh themselves, but this is not required at all.
I don't think that a forced reload is an option implemented globally, as in some cases there could be some merging steps involved that can be quite erroneous.
My ideas to solve this:
Have a specific editor that refreshes its content when the used resource changes (this can be timeconsuming);
Or close the editors of the file and reopen them (this is ugly in the eye of the user).
Since the Luna release of eclipse there's no need to reload files with F5/manual Refresh.
Really nice, especially as there was a bug with the F5 key binding.